Request:
Could you retype the data further down with every line break kept?
Given:
/*
This record from the Materials Project database describes crystalline Li3VO4 at its relaxed geometry. The functional is r2SCAN.

Results
Calculated total energy, eV per atom: -8.21
Mass density, kg/m³: 2698
Total magnetization, μB per cell: 0.0
DFT formation energy, eV per atom: -2.57

a = 6.281 Å, b = 5.415 Å, c = 4.915 Å
α = 90.00°, β = 90.00°, γ = 90.00°
Atoms (fractional coordinates):
Li: 0.000 0.166 0.000
Li: 0.247 0.332 0.498
Li: 0.253 0.668 0.998
Li: 0.500 0.834 0.500
Li: 0.747 0.668 0.998
Li: 0.753 0.332 0.498
V: 0.000 0.831 0.489
V: 0.500 0.169 0.989
O: 0.000 0.133 0.598
O: 0.000 0.828 0.140
O: 0.226 0.680 0.599
O: 0.274 0.320 0.099
O: 0.500 0.172 0.640
O: 0.500 0.867 0.098
O: 0.726 0.320 0.099
O: 0.774 0.680 0.599


Entry 1:
Entry from Materials Project: crystalline BaLiGe2 at its relaxed geometry (PBE).

Cell and atoms, written as POSCAR:
```
BaLiGe2
1.0
4.668 0.000 0.000
0.000 7.493 0.000
0.000 0.000 11.958
Li Ge Ba
4 8 4
direct
0.250 0.617 0.063
0.750 0.383 0.937
0.750 0.883 0.563
0.250 0.117 0.437
0.750 0.800 0.152
0.750 0.300 0.348
0.250 0.535 0.840
0.250 0.200 0.848
0.750 0.465 0.160
0.750 0.965 0.340
0.250 0.700 0.652
0.250 0.035 0.660
0.750 0.865 0.859
0.750 0.365 0.641
0.250 0.635 0.359
0.250 0.135 0.141
```

Summary:
The theoretical density is 4.60 g/cm³. The formation energy is -0.531 eV per atom. The volume comes out at 26.14 Å³/atom.

---

Entry 2:
Entry from Materials Project: crystalline Ba4LiGe4O12 at its relaxed geometry (PBE).

Cell and atoms, written as POSCAR:
```
Ba4LiGe4O12
1.0
-4.256 1.891 0.738
-1.959 -2.221 -5.151
-3.521 -10.757 6.415
Ba Ge O Li
4 4 12 1
direct
0.701 0.302 0.646
0.216 0.123 0.340
0.766 0.672 0.140
0.260 0.791 0.853
0.201 0.865 0.591
0.807 0.283 0.924
0.693 0.710 0.436
0.312 0.187 0.077
0.314 0.724 0.461
0.693 0.207 0.052
0.729 0.089 0.825
0.247 0.393 0.172
0.255 0.906 0.107
0.189 0.248 0.948
0.247 0.157 0.544
0.812 0.840 0.557
0.752 0.573 0.909
0.804 0.427 0.431
0.231 0.590 0.663
0.741 0.873 0.326
0.157 0.457 0.519
```

Summary:
The theoretical density is 4.74 g/cm³. The formation energy is -2.539 eV per atom. The volume comes out at 17.35 Å³/atom. The magnetization comes out at 1.0 μB per cell. For the corrected total energy (MP2020 scheme), the calculation gives -140.78 eV per formula unit. The calculation puts the distance to the lowest polymorph of the same formula at 7.4 meV/atom.

---

Entry 3:
Entry from Materials Project: crystalline Ba4LiGe4O12 at its relaxed geometry (PBE).

Cell and atoms, written as POSCAR:
```
Ba4LiGe4O12
1.0
-1.964 1.325 4.185
-5.259 -1.836 -1.808
2.883 -11.760 4.752
O Ge Ba Li
12 4 4 1
direct
0.325 0.679 0.685
0.762 0.887 0.340
0.675 0.262 0.046
0.749 0.403 0.418
0.752 0.538 0.838
0.259 0.913 0.090
0.823 0.782 0.570
0.239 0.131 0.579
0.170 0.290 0.946
0.772 0.039 0.812
0.314 0.719 0.457
0.233 0.399 0.179
0.201 0.833 0.581
0.691 0.696 0.436
0.792 0.273 0.906
0.307 0.210 0.074
0.238 0.760 0.885
0.780 0.686 0.157
0.726 0.301 0.638
0.233 0.193 0.362
0.694 0.776 0.732
```

Summary:
The theoretical density is 4.71 g/cm³. The formation energy is -2.547 eV per atom. The volume comes out at 17.43 Å³/atom. The magnetization comes out at 0.0 μB per cell. For the corrected total energy (MP2020 scheme), the calculation gives -140.94 eV per formula unit. The calculation puts the distance to the lowest polymorph of the same formula at 0.0 meV/atom.

---

Entry 4:
Entry from Materials Project: crystalline Ba2MgGe2 at its relaxed geometry (PBE).

Cell and atoms, written as POSCAR:
```
Ba2MgGe2
1.0
-2.553 -0.620 2.479
2.554 -0.727 2.449
0.336 14.847 4.059
Ge Ba Mg
2 2 1
direct
0.500 0.500 0.170
0.500 0.500 0.830
0.500 0.500 0.372
0.500 0.500 0.628
0.500 0.500 0.000
```

Summary:
The theoretical density is 3.67 g/cm³. The formation energy is 0.571 eV per atom. The volume comes out at 40.17 Å³/atom.


Mn2Nb2ZnO9 | PBE+U | optimized geometry

Results
Total magnetic moment = 16.0 μB per cell
DFT total energy = -216.1 eV per cell
SG = P3c1, No. 158
*/
Done:
This record from the Materials Project database describes crystalline Li3VO4 at its relaxed geometry. The functional is r2SCAN.

Results
Calculated total energy, eV per atom: -8.21
Mass density, kg/m³: 2698
Total magnetization, μB per cell: 0.0
DFT formation energy, eV per atom: -2.57

a = 6.281 Å, b = 5.415 Å, c = 4.915 Å
α = 90.00°, β = 90.00°, γ = 90.00°
Atoms (fractional coordinates):
Li: 0.000 0.166 0.000
Li: 0.247 0.332 0.498
Li: 0.253 0.668 0.998
Li: 0.500 0.834 0.500
Li: 0.747 0.668 0.998
Li: 0.753 0.332 0.498
V: 0.000 0.831 0.489
V: 0.500 0.169 0.989
O: 0.000 0.133 0.598
O: 0.000 0.828 0.140
O: 0.226 0.680 0.599
O: 0.274 0.320 0.099
O: 0.500 0.172 0.640
O: 0.500 0.867 0.098
O: 0.726 0.320 0.099
O: 0.774 0.680 0.599


Entry 1:
Entry from Materials Project: crystalline BaLiGe2 at its relaxed geometry (PBE).

Cell and atoms, written as POSCAR:
```
BaLiGe2
1.0
4.668 0.000 0.000
0.000 7.493 0.000
0.000 0.000 11.958
Li Ge Ba
4 8 4
direct
0.250 0.617 0.063
0.750 0.383 0.937
0.750 0.883 0.563
0.250 0.117 0.437
0.750 0.800 0.152
0.750 0.300 0.348
0.250 0.535 0.840
0.250 0.200 0.848
0.750 0.465 0.160
0.750 0.965 0.340
0.250 0.700 0.652
0.250 0.035 0.660
0.750 0.865 0.859
0.750 0.365 0.641
0.250 0.635 0.359
0.250 0.135 0.141
```

Summary:
The theoretical density is 4.60 g/cm³. The formation energy is -0.531 eV per atom. The volume comes out at 26.14 Å³/atom.

---

Entry 2:
Entry from Materials Project: crystalline Ba4LiGe4O12 at its relaxed geometry (PBE).

Cell and atoms, written as POSCAR:
```
Ba4LiGe4O12
1.0
-4.256 1.891 0.738
-1.959 -2.221 -5.151
-3.521 -10.757 6.415
Ba Ge O Li
4 4 12 1
direct
0.701 0.302 0.646
0.216 0.123 0.340
0.766 0.672 0.140
0.260 0.791 0.853
0.201 0.865 0.591
0.807 0.283 0.924
0.693 0.710 0.436
0.312 0.187 0.077
0.314 0.724 0.461
0.693 0.207 0.052
0.729 0.089 0.825
0.247 0.393 0.172
0.255 0.906 0.107
0.189 0.248 0.948
0.247 0.157 0.544
0.812 0.840 0.557
0.752 0.573 0.909
0.804 0.427 0.431
0.231 0.590 0.663
0.741 0.873 0.326
0.157 0.457 0.519
```

Summary:
The theoretical density is 4.74 g/cm³. The formation energy is -2.539 eV per atom. The volume comes out at 17.35 Å³/atom. The magnetization comes out at 1.0 μB per cell. For the corrected total energy (MP2020 scheme), the calculation gives -140.78 eV per formula unit. The calculation puts the distance to the lowest polymorph of the same formula at 7.4 meV/atom.

---

Entry 3:
Entry from Materials Project: crystalline Ba4LiGe4O12 at its relaxed geometry (PBE).

Cell and atoms, written as POSCAR:
```
Ba4LiGe4O12
1.0
-1.964 1.325 4.185
-5.259 -1.836 -1.808
2.883 -11.760 4.752
O Ge Ba Li
12 4 4 1
direct
0.325 0.679 0.685
0.762 0.887 0.340
0.675 0.262 0.046
0.749 0.403 0.418
0.752 0.538 0.838
0.259 0.913 0.090
0.823 0.782 0.570
0.239 0.131 0.579
0.170 0.290 0.946
0.772 0.039 0.812
0.314 0.719 0.457
0.233 0.399 0.179
0.201 0.833 0.581
0.691 0.696 0.436
0.792 0.273 0.906
0.307 0.210 0.074
0.238 0.760 0.885
0.780 0.686 0.157
0.726 0.301 0.638
0.233 0.193 0.362
0.694 0.776 0.732
```

Summary:
The theoretical density is 4.71 g/cm³. The formation energy is -2.547 eV per atom. The volume comes out at 17.43 Å³/atom. The magnetization comes out at 0.0 μB per cell. For the corrected total energy (MP2020 scheme), the calculation gives -140.94 eV per formula unit. The calculation puts the distance to the lowest polymorph of the same formula at 0.0 meV/atom.

---

Entry 4:
Entry from Materials Project: crystalline Ba2MgGe2 at its relaxed geometry (PBE).

Cell and atoms, written as POSCAR:
```
Ba2MgGe2
1.0
-2.553 -0.620 2.479
2.554 -0.727 2.449
0.336 14.847 4.059
Ge Ba Mg
2 2 1
direct
0.500 0.500 0.170
0.500 0.500 0.830
0.500 0.500 0.372
0.500 0.500 0.628
0.500 0.500 0.000
```

Summary:
The theoretical density is 3.67 g/cm³. The formation energy is 0.571 eV per atom. The volume comes out at 40.17 Å³/atom.


Mn2Nb2ZnO9 | PBE+U | optimized geometry

Results
Total magnetic moment = 16.0 μB per cell
DFT total energy = -216.1 eV per cell
SG = P3c1, No. 158